Public Domain Day is coming!

Public Domain Day is coming!

On January 1, 2021, copyrighted works from 1925 will enter the US public domain,1 where they will be free for all to use and build upon. These works include books such as F. Scott Fitzgerald’s The Great Gatsby, Virginia Woolf’s Mrs. Dalloway, Ernest Hemingway’s In Our Time, and Franz Kafka’s The Trial (in the original German), silent films featuring Harold Lloyd…

Find when words were first used in print with Time Traveler by Merriam-Webster

Find when words were first used in print with Time Traveler by Merriam-Webster

Source: Time Traveler by Merriam-Webster Time Traveler by Merriam-Webster lets you select a year, and it will then show you the words that were first used in print from that year. You can also type a word in to the search and see not only the definition, but also the year it was first used….

Fablement allows you to write interactive stories in your browser

Fablement allows you to write interactive stories in your browser

Source: fablement You may already be using Twine, Inklewriter, Netstory, or Squiffy to write interactive fiction, and here’s another option. Fablement is not only a platform for creating interactive fiction, but it is also a source for stories written by others. Signing up can be done with a Google, Facebook, or Apple sign in, or…

TeachingBooks has hundreds of thousands of premade resources for children’s and teen’s books

TeachingBooks has hundreds of thousands of premade resources for children’s and teen’s books

Source: TeachingBooks | Author & Book Resources to Support Reading Education Via: How In The World Am I Just Learning About “Teaching Books”?! The site has an impressive collection of resources! After sign up you get 2 weeks of full access to everything, to continue after that there are various licensing tiers available. Resources are…

Your brain is not putting its best foot forward when reading text.

Your brain is not putting its best foot forward when reading text.

By analysing brain activity, researchers found that the brain regulates its resource use and tries to identify the most essential information.A recently completed study indicates that the human brain avoids taking unnecessary effort. When a person is reading, she strives to gain as much information as possible by dedicating as little of her cognitive capacity…

Reading science fiction and fantasy may help students cope

Reading science fiction and fantasy may help students cope

Calculated crystals that have nothing to do with the article =
........
# Na14Zn6Si5Ge2S7O48

Crystalline Na14Zn6Si5Ge2S7O48 at its relaxed geometry (PBE, Materials Project).

Lattice parameters (Å, degrees): 18.069 9.087 22.017 90.03 90.07 120.54
Sites, in units of the cell vectors:
Na1 0.812 0.007 0.248
Na2 0.688 0.363 0.247
Na3 0.499 0.638 0.245
Na4 0.310 0.615 0.749
Na5 0.999 0.365 0.744
Na6 0.181 0.997 0.745
Na7 0.152 0.331 0.575
Na8 0.668 0.363 0.584
Na9 0.014 0.690 0.573
Na10 0.520 0.685 0.592
Na11 0.326 0.979 0.584
Na12 0.827 0.969 0.593
Na13 0.164 0.968 0.078
Na14 0.657 0.982 0.070
Na15 0.323 0.685 0.087
Na16 0.827 0.674 0.080
Na17 0.019 0.355 0.087
Na18 0.514 0.335 0.068
Na19 0.485 0.666 0.920
Na20 0.978 0.661 0.914
Na21 0.355 0.045 0.923
Na22 0.848 0.042 0.912
Na23 0.166 0.291 0.915
Na24 0.663 0.289 0.925
Na25 0.480 0.302 0.426
Na26 0.985 0.306 0.424
Na27 0.161 0.034 0.428
Na28 0.670 0.047 0.421
Na29 0.346 0.654 0.417
Na30 0.855 0.664 0.425
Na31 0.004 0.991 0.499
Na32 0.505 0.011 0.504
Na33 0.004 0.998 0.997
Na34 0.504 0.019 0.995
Na35 0.340 0.335 0.830
Na36 0.826 0.330 0.826
Na37 0.318 0.323 0.331
Na38 0.842 0.346 0.331
Na39 0.168 0.671 0.163
Na40 0.667 0.663 0.163
Na41 0.161 0.671 0.667
Na42 0.670 0.666 0.665
Zn1 0.009 0.007 0.355
Zn2 0.504 0.005 0.339
Zn3 0.003 0.986 0.829
Zn4 0.509 0.011 0.855
Zn5 0.328 0.316 0.678
Zn6 0.830 0.349 0.681
Zn7 0.318 0.309 0.172
Zn8 0.828 0.339 0.177
Zn9 0.333 0.306 0.990
Zn10 0.825 0.336 0.989
Zn11 0.326 0.319 0.493
Zn12 0.833 0.358 0.497
Zn13 0.166 0.666 0.024
Zn14 0.660 0.651 0.010
Zn15 0.158 0.667 0.512
Zn16 0.667 0.673 0.528
Zn17 0.664 0.681 0.315
Zn18 0.157 0.644 0.809
Si1 0.648 0.003 0.249
Si2 0.148 0.289 0.748
Si3 0.995 0.685 0.753
Si4 0.478 0.330 0.584
Si5 0.182 0.023 0.584
Si6 0.688 0.050 0.585
Si7 0.839 0.648 0.586
Si8 0.977 0.623 0.084
Si9 0.339 0.034 0.087
Si10 0.186 0.331 0.083
Si11 0.681 0.340 0.086
Si12 0.517 0.373 0.914
Si13 0.671 0.967 0.921
Si14 0.170 0.374 0.421
Si15 0.015 0.661 0.416
Ge1 0.012 0.978 0.650
Ge2 0.511 0.034 0.648
Ge3 0.011 0.990 0.146
Ge4 0.506 0.012 0.147
Ge5 0.158 0.636 0.324
Ge6 0.665 0.687 0.822
S1 0.149 0.990 0.252
S2 0.348 0.704 0.251
S3 0.857 0.718 0.251
S4 0.007 0.297 0.252
S5 0.499 0.296 0.251
S6 0.647 0.309 0.752
S7 0.507 0.718 0.751
S8 0.361 0.999 0.750
S9 0.843 0.982 0.755
S10 0.982 0.325 0.585
S11 0.339 0.643 0.586
S12 0.481 0.639 0.088
S13 0.838 0.033 0.087
S14 0.311 0.665 0.915
S15 0.812 0.671 0.914
S16 0.017 0.366 0.918
S17 0.167 0.958 0.916
S18 0.314 0.954 0.411
S19 0.812 0.961 0.415
S20 0.663 0.375 0.413
S21 0.518 0.668 0.416
O1 0.104 0.002 0.304
O2 0.611 0.036 0.311
O3 0.398 0.790 0.308
O4 0.902 0.811 0.306
O5 0.487 0.198 0.307
O6 0.999 0.195 0.306
O7 0.109 0.187 0.812
O8 0.602 0.208 0.805
O9 0.498 0.803 0.806
O10 0.980 0.761 0.816
O11 0.407 0.002 0.805
O12 0.894 0.999 0.810
O13 0.406 0.977 0.694
O14 0.883 0.961 0.699
O15 0.076 0.179 0.690
O16 0.593 0.225 0.694
O17 0.014 0.821 0.695
O18 0.516 0.821 0.695
O19 0.393 0.807 0.196
O20 0.900 0.826 0.194
O21 0.016 0.216 0.195
O22 0.508 0.204 0.197
O23 0.097 0.971 0.193
........
So much for the calculated crystals =

Young people who are “hooked” on watching fantasy or reading science fiction may be on to something. Contrary to a common misperception that reading this genre is an unworthy practice, reading science fiction and fantasy may help young people cope, especially with the stress and anxiety of living through the COVID-19 pandemic. Source: Science fiction…